1.
This entry pairs a crystal structure of Cs3Rb2Hg with its calculated powder diffraction line list. Radiation: copper Kα. Structure: a DFT-relaxed cell (PBE, Alexandria).

Cell and atoms:
Cell lengths 26.026, 7.997, 10.256 Å; angles 90.00, 101.94, 90.00 degrees
Space group C2/c (No. 15)
Inequivalent atoms, fractional coordinates:
Cs1 0.000 0.001 0.250 [4 per cell]
Cs2 0.109 0.500 0.057 [8 per cell]
Rb1 0.210 0.000 0.103 [8 per cell]
Hg1 0.000 0.498 0.750 [4 per cell]

Top 12 peaks for 15° ≤ 2θ ≤ 90°, by intensity:
2theta, I/Imax
22.2, 100
20.3, 71
30.2, 67
20.1, 67
24.8, 64
30.3, 53
20.7, 50
25.0, 41
41.9, 38
42.1, 35
35.0, 31
35.2, 29

---

2.
This entry pairs a crystal structure of Pm2SmS4 with its calculated powder diffraction line list. Radiation: copper Kα. Structure: a DFT-relaxed cell (PBE, Alexandria).

Cell and atoms:
Cell lengths 8.071, 8.117, 11.261 Å; angles 90.00, 90.00, 90.00 degrees
Space group Imma (No. 74)
Inequivalent atoms, fractional coordinates:
Pm1 0.000 0.000 0.000 [4 per cell]
Pm2 0.250 0.250 0.250 [4 per cell]
Sm1 0.250 0.250 0.750 [4 per cell]
S1 0.000 0.001 0.748 [8 per cell]
S2 0.241 0.250 0.999 [8 per cell]

Top 12 peaks for 15° ≤ 2θ ≤ 90°, by intensity:
2theta, I/Imax
31.3, 100
45.2, 70
31.8, 48
27.1, 40
27.2, 40
74.3, 23
25.8, 20
55.9, 19
56.1, 18
44.7, 18
44.9, 18
15.7, 18

---

3.
This entry pairs a crystal structure of Al2Zn3Ga3 with its calculated powder diffraction line list. Radiation: copper Kα. Structure: a DFT-relaxed cell (PBE, Alexandria).

Cell and atoms:
Cell lengths 9.375, 4.450, 7.080 Å; angles 90.00, 97.98, 90.00 degrees
Space group C2/m (No. 12)
Inequivalent atoms, fractional coordinates:
Al1 0.204 0.000 0.351 [4 per cell]
Zn1 0.000 0.000 0.000 [2 per cell]
Zn2 0.118 0.000 0.695 [4 per cell]
Ga1 0.000 0.500 0.500 [2 per cell]
Ga2 0.111 0.500 0.149 [4 per cell]

Top 12 peaks for 15° ≤ 2θ ≤ 90°, by intensity:
2theta, I/Imax
39.1, 100
43.6, 73
29.7, 52
40.5, 46
26.2, 31
46.1, 27
19.1, 25
51.1, 22
53.4, 22
61.1, 18
72.8, 15
32.9, 12

---

4.
This entry pairs a crystal structure of La4Nd2In with its calculated powder diffraction line list. Radiation: copper Kα. Structure: a DFT-relaxed cell (PBE, Alexandria).

Cell and atoms:
Cell lengths 6.538, 12.784, 6.586 Å; angles 90.00, 119.61, 90.00 degrees
Space group P2_1/c (No. 14)
Inequivalent atoms, fractional coordinates:
La1 0.089 0.171 0.332 [4 per cell]
La2 0.396 0.747 0.687 [4 per cell]
Nd1 0.185 0.055 0.871 [4 per cell]
In1 0.500 0.000 0.500 [2 per cell]

Top 12 peaks for 15° ≤ 2θ ≤ 90°, by intensity:
2theta, I/Imax
32.1, 100
32.3, 61
34.4, 58
32.1, 49
30.5, 49
26.1, 47
34.6, 45
31.5, 33
27.9, 33
28.2, 25
27.1, 18
51.0, 16

---

5.
This entry pairs a crystal structure of La4Dy3Tm4 with its calculated powder diffraction line list. Radiation: copper Kα. Structure: a DFT-relaxed cell (PBE, Alexandria).

Cell and atoms:
Cell lengths 36.313, 5.643, 3.602 Å; angles 90.00, 95.65, 90.00 degrees
Space group C2/m (No. 12)
Inequivalent atoms, fractional coordinates:
La1 0.052 0.000 0.054 [4 per cell]
La2 0.177 0.500 0.178 [4 per cell]
Dy1 0.000 0.500 0.500 [2 per cell]
Dy2 0.147 0.000 0.647 [4 per cell]
Tm1 0.093 0.500 0.595 [4 per cell]
Tm2 0.235 0.000 0.235 [4 per cell]

Top 12 peaks for 15° ≤ 2θ ≤ 90°, by intensity:
2theta, I/Imax
31.5, 100
33.0, 79
31.7, 60
31.1, 38
60.9, 33
60.3, 22
56.4, 21
30.3, 20
49.8, 19
61.0, 19
29.8, 18
27.7, 18

---

6.
This entry pairs a crystal structure of TbGdMgZn with its calculated powder diffraction line list. Radiation: copper Kα. Structure: a DFT-relaxed cell (PBE, Alexandria).

Cell and atoms:
Cell lengths 7.394, 7.394, 7.394 Å; angles 90.00, 90.00, 90.00 degrees
Space group F-43m (No. 216)
Inequivalent atoms, fractional coordinates:
Tb1 0.000 0.000 0.000 [4 per cell]
Gd1 0.000 0.000 0.500 [4 per cell]
Mg1 0.250 0.250 0.250 [4 per cell]
Zn1 0.250 0.250 0.750 [4 per cell]

Top 12 peaks for 15° ≤ 2θ ≤ 90°, by intensity:
2theta, I/Imax
34.3, 100
61.4, 37
24.1, 34
49.3, 18
82.5, 16
55.6, 14
72.3, 11

Next, print the calculation results further up from the first line to the one with "61.4, 37" with every line break kept.

1.
This entry pairs a crystal structure of Cs3Rb2Hg with its calculated powder diffraction line list. Radiation: copper Kα. Structure: a DFT-relaxed cell (PBE, Alexandria).

Cell and atoms:
Cell lengths 26.026, 7.997, 10.256 Å; angles 90.00, 101.94, 90.00 degrees
Space group C2/c (No. 15)
Inequivalent atoms, fractional coordinates:
Cs1 0.000 0.001 0.250 [4 per cell]
Cs2 0.109 0.500 0.057 [8 per cell]
Rb1 0.210 0.000 0.103 [8 per cell]
Hg1 0.000 0.498 0.750 [4 per cell]

Top 12 peaks for 15° ≤ 2θ ≤ 90°, by intensity:
2theta, I/Imax
22.2, 100
20.3, 71
30.2, 67
20.1, 67
24.8, 64
30.3, 53
20.7, 50
25.0, 41
41.9, 38
42.1, 35
35.0, 31
35.2, 29

---

2.
This entry pairs a crystal structure of Pm2SmS4 with its calculated powder diffraction line list. Radiation: copper Kα. Structure: a DFT-relaxed cell (PBE, Alexandria).

Cell and atoms:
Cell lengths 8.071, 8.117, 11.261 Å; angles 90.00, 90.00, 90.00 degrees
Space group Imma (No. 74)
Inequivalent atoms, fractional coordinates:
Pm1 0.000 0.000 0.000 [4 per cell]
Pm2 0.250 0.250 0.250 [4 per cell]
Sm1 0.250 0.250 0.750 [4 per cell]
S1 0.000 0.001 0.748 [8 per cell]
S2 0.241 0.250 0.999 [8 per cell]

Top 12 peaks for 15° ≤ 2θ ≤ 90°, by intensity:
2theta, I/Imax
31.3, 100
45.2, 70
31.8, 48
27.1, 40
27.2, 40
74.3, 23
25.8, 20
55.9, 19
56.1, 18
44.7, 18
44.9, 18
15.7, 18

---

3.
This entry pairs a crystal structure of Al2Zn3Ga3 with its calculated powder diffraction line list. Radiation: copper Kα. Structure: a DFT-relaxed cell (PBE, Alexandria).

Cell and atoms:
Cell lengths 9.375, 4.450, 7.080 Å; angles 90.00, 97.98, 90.00 degrees
Space group C2/m (No. 12)
Inequivalent atoms, fractional coordinates:
Al1 0.204 0.000 0.351 [4 per cell]
Zn1 0.000 0.000 0.000 [2 per cell]
Zn2 0.118 0.000 0.695 [4 per cell]
Ga1 0.000 0.500 0.500 [2 per cell]
Ga2 0.111 0.500 0.149 [4 per cell]

Top 12 peaks for 15° ≤ 2θ ≤ 90°, by intensity:
2theta, I/Imax
39.1, 100
43.6, 73
29.7, 52
40.5, 46
26.2, 31
46.1, 27
19.1, 25
51.1, 22
53.4, 22
61.1, 18
72.8, 15
32.9, 12

---

4.
This entry pairs a crystal structure of La4Nd2In with its calculated powder diffraction line list. Radiation: copper Kα. Structure: a DFT-relaxed cell (PBE, Alexandria).

Cell and atoms:
Cell lengths 6.538, 12.784, 6.586 Å; angles 90.00, 119.61, 90.00 degrees
Space group P2_1/c (No. 14)
Inequivalent atoms, fractional coordinates:
La1 0.089 0.171 0.332 [4 per cell]
La2 0.396 0.747 0.687 [4 per cell]
Nd1 0.185 0.055 0.871 [4 per cell]
In1 0.500 0.000 0.500 [2 per cell]

Top 12 peaks for 15° ≤ 2θ ≤ 90°, by intensity:
2theta, I/Imax
32.1, 100
32.3, 61
34.4, 58
32.1, 49
30.5, 49
26.1, 47
34.6, 45
31.5, 33
27.9, 33
28.2, 25
27.1, 18
51.0, 16

---

5.
This entry pairs a crystal structure of La4Dy3Tm4 with its calculated powder diffraction line list. Radiation: copper Kα. Structure: a DFT-relaxed cell (PBE, Alexandria).

Cell and atoms:
Cell lengths 36.313, 5.643, 3.602 Å; angles 90.00, 95.65, 90.00 degrees
Space group C2/m (No. 12)
Inequivalent atoms, fractional coordinates:
La1 0.052 0.000 0.054 [4 per cell]
La2 0.177 0.500 0.178 [4 per cell]
Dy1 0.000 0.500 0.500 [2 per cell]
Dy2 0.147 0.000 0.647 [4 per cell]
Tm1 0.093 0.500 0.595 [4 per cell]
Tm2 0.235 0.000 0.235 [4 per cell]

Top 12 peaks for 15° ≤ 2θ ≤ 90°, by intensity:
2theta, I/Imax
31.5, 100
33.0, 79
31.7, 60
31.1, 38
60.9, 33
60.3, 22
56.4, 21
30.3, 20
49.8, 19
61.0, 19
29.8, 18
27.7, 18

---

6.
This entry pairs a crystal structure of TbGdMgZn with its calculated powder diffraction line list. Radiation: copper Kα. Structure: a DFT-relaxed cell (PBE, Alexandria).

Cell and atoms:
Cell lengths 7.394, 7.394, 7.394 Å; angles 90.00, 90.00, 90.00 degrees
Space group F-43m (No. 216)
Inequivalent atoms, fractional coordinates:
Tb1 0.000 0.000 0.000 [4 per cell]
Gd1 0.000 0.000 0.500 [4 per cell]
Mg1 0.250 0.250 0.250 [4 per cell]
Zn1 0.250 0.250 0.750 [4 per cell]

Top 12 peaks for 15° ≤ 2θ ≤ 90°, by intensity:
2theta, I/Imax
34.3, 100
61.4, 37